Contents:
/*
# CaCr2N4, optimized geometry, DFT PBE
# DFT formation energy (meV/atom): -698
# Crystal system: cubic
# M_tot (μB/f.u.): 2.0
# Space group: Pa-3 (205)
# E_tot (eV/atom): -8.30
data_CaCr2N4
_cell_length_a 10.227
_cell_length_b 10.227
_cell_length_c 10.227
_cell_angle_alpha 90.00
_cell_angle_beta 90.00
_cell_angle_gamma 90.00
_space_group_name_H-M_alt 'P 1'
_space_group_IT_number 1
_space_group_name_Hall 'P 1'
loop_
_atom_site_label
_atom_site_type_symbol
_atom_site_fract_x
_atom_site_fract_y
_atom_site_fract_z
Ca1 Ca 0.500 0.500 0.000
Ca2 Ca 0.500 0.000 0.500
Ca3 Ca 0.000 0.500 0.500
Ca4 Ca 0.000 0.000 0.000
Ca5 Ca 0.123 0.877 0.377
Ca6 Ca 0.877 0.377 0.123
Ca7 Ca 0.377 0.123 0.877
Ca8 Ca 0.623 0.623 0.623
Ca9 Ca 0.877 0.123 0.623
Ca10 Ca 0.123 0.623 0.877
Ca11 Ca 0.623 0.877 0.123
Ca12 Ca 0.377 0.377 0.377
Cr1 Cr 0.376 0.702 0.364
Cr2 Cr 0.624 0.202 0.136
Cr3 Cr 0.124 0.298 0.864
Cr4 Cr 0.876 0.798 0.636
Cr5 Cr 0.364 0.376 0.702
Cr6 Cr 0.136 0.624 0.202
Cr7 Cr 0.864 0.124 0.298
Cr8 Cr 0.636 0.876 0.798
Cr9 Cr 0.702 0.364 0.376
Cr10 Cr 0.202 0.136 0.624
Cr11 Cr 0.298 0.864 0.124
Cr12 Cr 0.798 0.636 0.876
Cr13 Cr 0.624 0.298 0.636
Cr14 Cr 0.376 0.798 0.864
Cr15 Cr 0.876 0.702 0.136
Cr16 Cr 0.124 0.202 0.364
Cr17 Cr 0.636 0.624 0.298
Cr18 Cr 0.864 0.376 0.798
Cr19 Cr 0.136 0.876 0.702
Cr20 Cr 0.364 0.124 0.202
Cr21 Cr 0.298 0.636 0.624
Cr22 Cr 0.798 0.864 0.376
Cr23 Cr 0.702 0.136 0.876
Cr24 Cr 0.202 0.364 0.124
N1 N 0.359 0.858 0.286
N2 N 0.641 0.358 0.214
N3 N 0.141 0.142 0.786
N4 N 0.859 0.642 0.714
N5 N 0.286 0.359 0.858
N6 N 0.214 0.641 0.358
N7 N 0.786 0.141 0.142
N8 N 0.714 0.859 0.642
N9 N 0.858 0.286 0.359
N10 N 0.358 0.214 0.641
N11 N 0.142 0.786 0.141
N12 N 0.642 0.714 0.859
N13 N 0.641 0.142 0.714
N14 N 0.359 0.642 0.786
N15 N 0.859 0.858 0.214
N16 N 0.141 0.358 0.286
N17 N 0.714 0.641 0.142
N18 N 0.786 0.359 0.642
N19 N 0.214 0.859 0.858
N20 N 0.286 0.141 0.358
N21 N 0.142 0.714 0.641
N22 N 0.642 0.786 0.359
N23 N 0.858 0.214 0.859
N24 N 0.358 0.286 0.141
N25 N 0.422 0.722 0.529
N26 N 0.578 0.222 0.971
N27 N 0.078 0.278 0.029
N28 N 0.922 0.778 0.471
N29 N 0.529 0.422 0.722
N30 N 0.971 0.578 0.222
N31 N 0.029 0.078 0.278
N32 N 0.471 0.922 0.778
N33 N 0.722 0.529 0.422
N34 N 0.222 0.971 0.578
N35 N 0.278 0.029 0.078
N36 N 0.778 0.471 0.922
N37 N 0.578 0.278 0.471
N38 N 0.422 0.778 0.029
N39 N 0.922 0.722 0.971
N40 N 0.078 0.222 0.529
N41 N 0.471 0.578 0.278
N42 N 0.029 0.422 0.778
N43 N 0.971 0.922 0.722
N44 N 0.529 0.078 0.222
N45 N 0.278 0.471 0.578
N46 N 0.778 0.029 0.422
N47 N 0.722 0.971 0.922
N48 N 0.222 0.529 0.078

# Ca7CrN6, optimized geometry, DFT PBE
# DFT formation energy (meV/atom): -992
# Crystal system: orthorhombic
# M_tot (μB/f.u.): 2.0
# Space group: Pbcn (60)
# E_tot (eV/atom): -6.10
data_Ca7CrN6
_cell_length_a 11.038
_cell_length_b 6.251
_cell_length_c 12.979
_cell_angle_alpha 90.00
_cell_angle_beta 90.00
_cell_angle_gamma 90.00
_space_group_name_H-M_alt 'P 1'
_space_group_IT_number 1
_space_group_name_Hall 'P 1'
loop_
_atom_site_label
_atom_site_type_symbol
_atom_site_fract_x
_atom_site_fract_y
_atom_site_fract_z
Ca1 Ca 0.036 0.732 0.978
Ca2 Ca 0.464 0.768 0.478
Ca3 Ca 0.536 0.768 0.022
Ca4 Ca 0.964 0.732 0.522
Ca5 Ca 0.964 0.268 0.022
Ca6 Ca 0.536 0.232 0.522
Ca7 Ca 0.464 0.232 0.978
Ca8 Ca 0.036 0.268 0.478
Ca9 Ca 0.228 0.849 0.625
Ca10 Ca 0.272 0.651 0.125
Ca11 Ca 0.728 0.651 0.375
Ca12 Ca 0.772 0.849 0.875
Ca13 Ca 0.772 0.151 0.375
Ca14 Ca 0.728 0.349 0.875
Ca15 Ca 0.272 0.349 0.625
Ca16 Ca 0.228 0.151 0.125
Ca17 Ca 0.291 0.610 0.879
Ca18 Ca 0.209 0.890 0.379
Ca19 Ca 0.791 0.890 0.121
Ca20 Ca 0.709 0.610 0.621
Ca21 Ca 0.709 0.390 0.121
Ca22 Ca 0.791 0.110 0.621
Ca23 Ca 0.209 0.110 0.879
Ca24 Ca 0.291 0.390 0.379
Ca25 Ca 0.000 0.442 0.750
Ca26 Ca 0.500 0.058 0.250
Ca27 Ca 0.000 0.558 0.250
Ca28 Ca 0.500 0.942 0.750
Cr1 Cr 0.000 0.936 0.750
Cr2 Cr 0.500 0.564 0.250
Cr3 Cr 0.000 0.064 0.250
Cr4 Cr 0.500 0.436 0.750
N1 N 0.125 0.764 0.794
N2 N 0.375 0.736 0.294
N3 N 0.625 0.736 0.206
*/
Wanted:
The reader should count the lines above that contain the word "N46" and give the number alone.
Solution:
1